I'll Be Bach

I'm about halfway through my reread of "Gödel Escher Bach". Easier going than I feared, though to be honest I haven't bothered with most of the formal logic/ system exercises.

It's interesting how rereading a book that felt monumentally important to you long ago on its first read makes a kind of one way, clouded dialog between your old and current selves; you ponder how your old self responded to certain passages the first time.

Also interesting to be reminded that humans were still beating computers at chess; one suspects that AlphaZero is doing something akin to the kind of "chunking" that gave 1980-era human chess masters a strong edge over computers of the time.

Still bothered there's not a digital edition of this book; I suppose the references to illustrations would get fiddly but not insurmountably so. Does anyone know... like when a book gets reprinted, how has it been stored in the meanwhile? What are the 1980-era and modern forms of commercial black and white printing and storage?
There are two types of drivers. Those that pretend the emergency brake button launches missiles. And those that pretend it controls the nitrous booster.

via headspace-hotel who adds "Dear god, please support your local library because there's no way in hell that idea could be re-introduced once it lost its existing foothold in the world."
Musing on Scientology and "Body Thetans". Like, I wonder if there are some parallels between thinking in terms of "Body Thetans" attaching themselves to our true selves and the idea of "mind as a committee", like where there might be one self "committee member" who is the slow-deciding narrator, but other parts of the mind seem to have their own agenda (see also Internal Family Systems). If that inner narrator has the right to claim "truest selfness" is an open question for me.

I mean, empirically, there might be pragmatic good to come to individuals in Scientology, though likely outweighed by what the church itself demands for its own secretive powermongering. And, maybe looking at like Travolta and Cruise as possible "success stories" is like judging the lottery by the winners.

I wonder if sympathy for Body Thetans is ever encouraged. I mean here you have these poor aliens chained to a volcano by Xenu or whatever... aren't they just looking to get along, like everybody else?
Peloton's new Lanebreaker - I think it's good they're making a game out of the physical activity, but hope they get to something like the arcade game Prop Cycle - why not pretend to fly??
ripping the lil panties off a Reese's is the most erotic thing you can do

Heh, missed the physical vs NFT auction for Steve Jobs' job application.
You want me to pay attention to the details? The thing that the devil is in?

No. 1

How perfectly goddamned delightful it all is, to be sure.